Challenging the Mountain and Building Brotherhood

Records of crystals from another source follow:
-- begin --
Run a
A geometry-optimized KHgGe3 structure, computed with PBEsol.

Results
Calculated volume = 29.81 A^3/atom

CIF file:
```
data_KHgGe3
_chemical_formula_sum 'K1 Hg1 Ge3'
_cell_length_a 5.302
_cell_length_b 5.302
_cell_length_c 5.302
_cell_angle_alpha 90.00
_cell_angle_beta 90.00
_cell_angle_gamma 90.00
_space_group_name_H-M_alt 'P m -3 m'
_space_group_IT_number 221
_space_group_name_Hall '-P 4 2 3'
loop_
_atom_site_label
_atom_site_type_symbol
_atom_site_fract_x
_atom_site_fract_y
_atom_site_fract_z
_atom_site_occupancy
K1 K 0.000 0.000 0.000 1
Hg1 Hg 0.500 0.500 0.500 1
Ge1 Ge 0.000 0.500 0.500 1
```

Run b
A geometry-optimized KHgGe3 structure, computed with PBEsol.

Results
Calculated volume = 32.55 A^3/atom

CIF file:
```
data_KHgGe3
_chemical_formula_sum 'K1 Hg1 Ge3'
_cell_length_a 5.460
_cell_length_b 5.460
_cell_length_c 5.460
_cell_angle_alpha 90.00
_cell_angle_beta 90.00
_cell_angle_gamma 90.00
_space_group_name_H-M_alt 'P m -3 m'
_space_group_IT_number 221
_space_group_name_Hall '-P 4 2 3'
loop_
_atom_site_label
_atom_site_type_symbol
_atom_site_fract_x
_atom_site_fract_y
_atom_site_fract_z
_atom_site_occupancy
K1 K 0.000 0.000 0.000 1
Hg1 Hg 0.500 0.500 0.500 1
Ge1 Ge 0.000 0.000 0.500 1
```

Which structure is the most stable? The one labeled run a.

Run a
A geometry-optimized HgGeTe2 structure, computed with PBEsol.

Results
Calculated volume = 33.70 A^3/atom

CIF file:
```
data_HgGeTe2
_chemical_formula_sum 'Hg3 Ge3 Te6'
_cell_length_a 4.2921
_cell_length_b 4.2921
_cell_length_c 25.3473
_cell_angle_alpha 90.00
_cell_angle_beta 90.00
_cell_angle_gamma 120.00
_space_group_name_H-M_alt 'R -3 m'
_space_group_IT_number 166
_space_group_name_Hall '-R 3 2"'
loop_
_atom_site_label
_atom_site_type_symbol
_atom_site_fract_x
_atom_site_fract_y
_atom_site_fract_z
_atom_site_occupancy
Hg1 Hg 0.0000 0.0000 0.0000 1
Ge1 Ge 0.0000 0.0000 0.5000 1
Te1 Te 0.0000 0.0000 0.3982 1
```

Run b
A geometry-optimized HgGeTe2 structure, computed with PBEsol.

Results
Calculated volume = 24.43 A^3/atom

CIF file:
```
data_HgGeTe2
_chemical_formula_sum 'Hg4 Ge4 Te8'
_cell_length_a 7.311
_cell_length_b 7.311
_cell_length_c 7.311
_cell_angle_alpha 90.00
_cell_angle_beta 90.00
_cell_angle_gamma 90.00
_space_group_name_H-M_alt 'F m -3 m'
_space_group_IT_number 225
_space_group_name_Hall '-F 4 2 3'
loop_
_atom_site_label
_atom_site_type_symbol
_atom_site_fract_x
_atom_site_fract_y
_atom_site_fract_z
_atom_site_occupancy
Hg1 Hg 0.000 0.000 0.000 1
Ge1 Ge 0.000 0.000 0.500 1
Te1 Te 0.250 0.250 0.250 1
```

Which structure is the most stable? The one labeled run b.

Run a
A geometry-optimized Mg2MnGeI structure, computed with PBEsol.

Results
Calculated volume = 29.65 A^3/atom

CIF file:
```
data_Mg2MnGeI
_chemical_formula_sum 'Mg2 Mn1 Ge1 I1'
_cell_length_a 5.037
_cell_length_b 5.037
_cell_length_c 5.844
_cell_angle_alpha 90.00
_cell_angle_beta 90.00
_cell_angle_gamma 90.00
_space_group_name_H-M_alt 'P 4/m m m'
_space_group_IT_number 123
-- stop --
End of the records of crystals:

Mount Whitney soars above the Sierra Nevada Mountain range in California as the highest point in the contiguous United States. Those who reach the summit - 14,505 above sea level - are rewarded with a panoramic view of untouched wilderness and a lasting sense of accomplishment.
Since 2012, brothers from the Zeta Xi Chapter at the University of California, Davis, have participated in the chapter’s “Trekking for the Troops” event to scale Mount Whitney.
Hiking in groups of eight to 12 brothers, they complete the challenging climb by planting the Sigma Nu flag at the summit to memorialize their accomplishment.
“Trekking for the Troops is about finding a bigger purpose beyond yourself,” said Mike Wheeler, Alumni Advisory Board Chairman and Chapter Advisor for Zeta Xi Chapter. “It’s teamwork and overcoming challenges and [realizing] if you can do this…you can do anything.”
The event serves as the chapter’s primary philanthropy, raising funds for organizations supporting military veterans, including the Wounded Warrior Project.
For the Zeta Xi chapter, conquering the majestic mountain is more than a bonding of brothers on the 10-day hike to the top. It represents the resiliency of brotherhood, the founding of Sigma Nu Fraternity, and the beginning and future of their chapter.
Rebuilding with Purpose

The parallels between the challenging hike up Mount Whitney and the history of the Zeta Xi Chapter are symbolic. The first chapter opened in 1952 but lost its charter in the early 1990s after four decades on campus.
In 2009, Sigma Nu was back on campus, spurred by a sense of purpose and a 400-page petition from the founding brothers of the Zeta Xi Chapter.
The petition included Zeta Xi’s commitment to Sigma Nu Fraternity to become a Rock Chapter. That vision soon became a reality. At this year’s 70th Grand Chapter, Zeta Xi was awarded its 6th Rock Chapter Award.
Wheeler believes much of the chapter’s success is tied to the Trekking for the Troops event, which began in 2012, just three years after the chapter was established. The principles of mountain climbing aligned with the chapter’s goals of teamwork and leading with purpose.
The idea to hike Mount Whitney was proposed by Brother Zach Dashner, who served as the chapter’s Philanthropy Chairman. Dashner was inspired by his father, a military veteran, and his brother, who participated in the Journey of Hope bike ride across the country for his fraternity (Pi Kappa Phi) to raise money for individuals with disabilities.
“It was an incredible event and a transformative experience for [my brother],” said Dashner, who graduated from UC Davis in 2014. “And because we were a new chapter, I thought an endurance event, lasting several days, would help build our chapter culture and identity.”
Eminent Commander Cole Murdoch noted that the event also supported the chapter’s goals to direct its focus externally through service and charity.
“In 2012, the chapter was working to come up with our primary philanthropy event,” Murdoch explains. “So they looked to the Fraternity’s traditions and roots in military service among the founders for inspiration.”
At the time, the UC Davis chapter had a relationship with a local organization that provided services to military veterans. Although that organization has since closed, the commitment to veteran assistance remains, primarily those that address Post Traumatic Syndrome Disorder (PTSD), a key platform of the Wounded Warrior Project.
Life on the Hike

'''
# PBE Ho2ErHg, optimized geometry
# Calculated total energy (eV per atom): -3.55
# Distance to the lowest polymorph of the same formula (meV per atom): 179
# Calculated formation energy (eV per atom): -0.0447
data_Ho2ErHg
_chemical_formula_sum 'Ho8 Er4 Hg4'
_cell_length_a 7.591
_cell_length_b 7.591
_cell_length_c 7.591
_cell_angle_alpha 90.00
_cell_angle_beta 90.00
_cell_angle_gamma 90.00
_symmetry_space_group_name_H-M 'P 1'
_symmetry_Int_Tables_number 1
_symmetry_space_group_name_Hall 'P 1'
loop_
_atom_site_label
_atom_site_type_symbol
_atom_site_fract_x
_atom_site_fract_y
_atom_site_fract_z
Ho1 Ho 0.250 0.250 0.250
Ho2 Ho 0.250 0.250 0.750
Ho3 Ho 0.250 0.750 0.250
Ho4 Ho 0.250 0.750 0.750
Ho5 Ho 0.750 0.250 0.250
Ho6 Ho 0.750 0.250 0.750
Ho7 Ho 0.750 0.750 0.250
Ho8 Ho 0.750 0.750 0.750
Er1 Er 0.000 0.000 0.000
Er2 Er 0.000 0.500 0.500
Er3 Er 0.500 0.000 0.500
Er4 Er 0.500 0.500 0.000
Hg1 Hg 0.000 0.000 0.500
Hg2 Hg 0.000 0.500 0.000
Hg3 Hg 0.500 0.000 0.000
Hg4 Hg 0.500 0.500 0.500


1.
This record from Alexandria describes a relaxed TiTl2Hg crystal. The functional is PBE.

The structure in POSCAR format:
```
TiTl2Hg
1.0
3.285 0.000 0.000
1.643 2.845 0.000
1.643 0.948 11.045
Tl Hg Ti
2 1 1
direct
0.085 0.085 0.746
0.915 0.915 0.254
0.500 0.500 0.500
0.000 0.000 0.000
```

Calculated values
ΔH_f (0 K) = 39 kJ per mole of atoms
E above lowest polymorph = 9.8 kJ/mol of formula units
E = -2.824 eV per atom

2.
This record from Alexandria describes a relaxed Ti2Tl2Hg crystal. The functional is PBE.

The structure in POSCAR format:
```
Ti2Tl2Hg
1.0
-7.216 -1.080 1.476
-1.155 -1.963 -7.087
0.759 -3.802 0.929
Tl Hg Ti
4 2 4
direct
0.178 0.678 0.500
0.678 0.822 0.500
0.822 0.322 0.500
0.322 0.178 0.500
0.000 0.000 0.000
0.500 0.500 0.000
0.378 0.878 0.000
0.878 0.622 0.000
0.622 0.122 0.000
0.122 0.378 0.000
```

Calculated values
ΔH_f (0 K) = 18 kJ per mole of atoms
E above lowest polymorph = 0.0 kJ/mol of formula units
E = -3.978 eV per atom

3.
This record from Alexandria describes a relaxed Ti12Tl3Hg crystal. The functional is PBE.

The structure in POSCAR format:
```
Ti12Tl3Hg
1.0
4.167 0.000 0.000
0.000 4.167 0.000
0.000 0.000 16.655
Ti Tl Hg
12 3 1
direct
0.500 0.500 0.000
0.500 0.500 0.248
0.500 0.500 0.500
0.500 0.500 0.752
0.500 0.000 0.123
0.500 0.000 0.374
0.500 0.000 0.626
0.500 0.000 0.877
0.000 0.500 0.123
0.000 0.500 0.374
0.000 0.500 0.626
0.000 0.500 0.877
0.000 0.000 0.248
0.000 0.000 0.500
0.000 0.000 0.752
0.000 0.000 0.000
```

Calculated values
ΔH_f (0 K) = 1 kJ per mole of atoms
E = -6.377 eV per atom

4.
This record from Alexandria describes a relaxed TmTiTlHg crystal. The functional is PBE.

The structure in POSCAR format:
```
TmTiTlHg
1.0
5.054 0.000 0.000
2.527 4.377 0.000
2.527 1.459 4.126
Tl Tm Hg Ti
1 1 1 1
direct
0.250 0.250 0.250
0.000 0.000 0.000
0.750 0.750 0.750
0.500 0.500 0.500
```

Calculated values
ΔH_f (0 K) = -10 kJ per mole of atoms
E = -3.859 eV per atom

5.
'''

In August 2012, the first group of eight brothers from Zeta Xi Chapter set off on the inaugural hike up Mount Whitney. The group included Dashner, an avid hiker and Eagle Scout, who was the self-described “den leader” for the first Trekking for the Troops event.
The journey begins on the John Muir Trail, the southern path to the summit of Mount Whitney, and encompasses 110 miles hiked over ten days. Each hiker carries with them nearly everything they need for the duration of the hike, from tents to food to water.
At the halfway point, the group is re-supplied with a cache of items dropped off by chapter brothers or alumni.
Michael Hartmeier remembers the hike he led in 2015 as more physically demanding than many on the trip had expected. Trekking up and down mountain passes of several thousand feet each day while managing mental and physical fatigue was a constant challenge for the group.
“However, seeing how brothers helped each other through this process by carrying weight or providing serious and comical motivation was also a reminder of the special bond of brotherhood in our chapter and Sigma Nu in general,” said Hartmeier, who celebrated his 21st birthday during the trek.
For Nicholas Aikawa, who participated in the 2014 trek, being disconnected from the usual “noise” of daily life allowed him to fully connect with his group.
“It was a really good opportunity for me to develop friendships with brothers I didn’t know that well,” said Aikawa, who served as the chapter president. “I enjoyed being isolated from technology and social media while on the trail.”
Despite blisters, fatigue, and minor mishaps, Dashner said reaching the top of Mount Whitney with his Sigma Nu brothers made every hardship along the way worthwhile.
“Like achieving Rock Chapter, summiting Whitney is a result of the hard work and experiences we shared,” he said. “The thrill of getting to the top lasts a few moments, but the memories made on the journey are forever.”
Years later, during an Affirmation of Knighthood Ceremony, one of the brothers on that first trek revealed how the experience remains a part of him.
“He told me the trek was the most transformative experience he’d had while in Sigma Nu and would be with him for the rest of his life,” Dashner said. “And I thought out of four years [in the chapter] it was the best…and that was pretty cool.”
The Path Forward and Upward

With each group of brothers who participated in the Trekking for the Troops over the years, it became apparent that those who went up Mount Whitney came down changed by the experience.
“Every man that has been on this trip has been transformed…and saw the trajectory of their lives change for the better,” Wheeler said. “It causes the men to think bigger about their lives and their impact…and that they can change the world.”
For Murdoch, he hopes Trekking for the Troops will inspire other chapters to look for opportunities to build brotherhood atop a mountain.
“Perhaps chapters on the East Coast can pick a mountain in Appalachia or in the Rockies for Midwest chapters to summit,” said Murdoch. “And we can all plant the Sigma Nu flag on the same day…what a wonderful symbol of brotherhood.”